-- Listing --
<<<
VO2: calculated powder XRD pattern (Cu Kα (weighted mean of Kα1 and Kα2)), based on the PBE+U geometry in the Materials Project.
Lines closer than 0.1° are merged.

Principal peaks in the range 2θ = 10–80°, most intense first:
2θ (°)	I_rel
18.34	1000
43.13	327
35.50	203
62.69	166
43.29	162
57.06	108
35.59	103
62.78	83
47.28	74
79.20	71

Structure:
Lattice parameters (Å, degrees): 5.924 5.924 5.920 119.89 119.89 90.23
Fractional coordinates of all 12 atoms:
V: 0.000 0.000 0.000
V: 0.000 0.000 0.500
V: 0.000 0.500 0.000
V: 0.500 0.000 0.500
O: 0.201 0.234 0.962
O: 0.229 0.762 0.027
O: 0.234 0.201 0.462
O: 0.238 0.771 0.473
O: 0.762 0.229 0.527
O: 0.766 0.799 0.538
O: 0.771 0.238 0.973
O: 0.799 0.766 0.038



V6O13: calculated powder XRD pattern (Cu Kα (weighted mean of Kα1 and Kα2)), based on the PBE+U geometry in the Materials Project.
Lines closer than 0.1° are merged.

Principal peaks in the range 2θ = 10–80°, most intense first:
2θ (°)	I_rel
25.20	1000
26.59	850
14.64	705
29.53	581
32.88	483
48.44	441
44.95	392
33.46	370
45.08	354
17.64	347

Structure:
Lattice parameters (Å, degrees): 11.735 11.735 3.758 90.00 90.00 62.07
Fractional coordinates of all 38 atoms:
V: 0.078 0.289 0.250
V: 0.099 0.901 0.750
V: 0.220 0.415 0.750
V: 0.289 0.078 0.750
V: 0.398 0.602 0.750
V: 0.415 0.220 0.250
V: 0.585 0.780 0.750
V: 0.602 0.398 0.250
V: 0.711 0.922 0.250
V: 0.780 0.585 0.250
V: 0.901 0.099 0.250
V: 0.922 0.711 0.750
O: 0.003 0.197 0.250
O: 0.047 0.557 0.750
O: 0.073 0.927 0.250
O: 0.128 0.275 0.750
O: 0.197 0.003 0.750
O: 0.225 0.368 0.250
O: 0.255 0.745 0.750
O: 0.275 0.128 0.250
O: 0.304 0.498 0.750
O: 0.368 0.225 0.750
O: 0.432 0.568 0.250
O: 0.443 0.953 0.750
O: 0.498 0.304 0.250
O: 0.502 0.696 0.750
O: 0.557 0.047 0.250
O: 0.568 0.432 0.750
O: 0.632 0.775 0.250
O: 0.696 0.502 0.250
O: 0.725 0.872 0.750
O: 0.745 0.255 0.250
O: 0.775 0.632 0.750
O: 0.803 0.997 0.250
O: 0.872 0.725 0.250
O: 0.927 0.073 0.750
O: 0.953 0.443 0.250
O: 0.997 0.803 0.750



Repeat the second record exactly.
V6O13: calculated powder XRD pattern (Cu Kα (weighted mean of Kα1 and Kα2)), based on the PBE+U geometry in the Materials Project.
Lines closer than 0.1° are merged.

Principal peaks in the range 2θ = 10–80°, most intense first:
2θ (°)	I_rel
25.20	1000
26.59	850
14.64	705
29.53	581
32.88	483
48.44	441
44.95	392
33.46	370
45.08	354
17.64	347

Structure:
Lattice parameters (Å, degrees): 11.735 11.735 3.758 90.00 90.00 62.07
Fractional coordinates of all 38 atoms:
V: 0.078 0.289 0.250
V: 0.099 0.901 0.750
V: 0.220 0.415 0.750
V: 0.289 0.078 0.750
V: 0.398 0.602 0.750
V: 0.415 0.220 0.250
V: 0.585 0.780 0.750
V: 0.602 0.398 0.250
V: 0.711 0.922 0.250
V: 0.780 0.585 0.250
V: 0.901 0.099 0.250
V: 0.922 0.711 0.750
O: 0.003 0.197 0.250
O: 0.047 0.557 0.750
O: 0.073 0.927 0.250
O: 0.128 0.275 0.750
O: 0.197 0.003 0.750
O: 0.225 0.368 0.250
O: 0.255 0.745 0.750
O: 0.275 0.128 0.250
O: 0.304 0.498 0.750
O: 0.368 0.225 0.750
O: 0.432 0.568 0.250
O: 0.443 0.953 0.750
O: 0.498 0.304 0.250
O: 0.502 0.696 0.750
O: 0.557 0.047 0.250
O: 0.568 0.432 0.750
O: 0.632 0.775 0.250
O: 0.696 0.502 0.250
O: 0.725 0.872 0.750
O: 0.745 0.255 0.250
O: 0.775 0.632 0.750
O: 0.803 0.997 0.250
O: 0.872 0.725 0.250
O: 0.927 0.073 0.750
O: 0.953 0.443 0.250
O: 0.997 0.803 0.750



- What is the formula in the first record?
  VO2



- Which formula does entry 2 have?
  V6O13
>>>

-- Exercise --
Restate the whole of the listing further up character by character.

-- Solution --
VO2: calculated powder XRD pattern (Cu Kα (weighted mean of Kα1 and Kα2)), based on the PBE+U geometry in the Materials Project.
Lines closer than 0.1° are merged.

Principal peaks in the range 2θ = 10–80°, most intense first:
2θ (°)	I_rel
18.34	1000
43.13	327
35.50	203
62.69	166
43.29	162
57.06	108
35.59	103
62.78	83
47.28	74
79.20	71

Structure:
Lattice parameters (Å, degrees): 5.924 5.924 5.920 119.89 119.89 90.23
Fractional coordinates of all 12 atoms:
V: 0.000 0.000 0.000
V: 0.000 0.000 0.500
V: 0.000 0.500 0.000
V: 0.500 0.000 0.500
O: 0.201 0.234 0.962
O: 0.229 0.762 0.027
O: 0.234 0.201 0.462
O: 0.238 0.771 0.473
O: 0.762 0.229 0.527
O: 0.766 0.799 0.538
O: 0.771 0.238 0.973
O: 0.799 0.766 0.038



V6O13: calculated powder XRD pattern (Cu Kα (weighted mean of Kα1 and Kα2)), based on the PBE+U geometry in the Materials Project.
Lines closer than 0.1° are merged.

Principal peaks in the range 2θ = 10–80°, most intense first:
2θ (°)	I_rel
25.20	1000
26.59	850
14.64	705
29.53	581
32.88	483
48.44	441
44.95	392
33.46	370
45.08	354
17.64	347

Structure:
Lattice parameters (Å, degrees): 11.735 11.735 3.758 90.00 90.00 62.07
Fractional coordinates of all 38 atoms:
V: 0.078 0.289 0.250
V: 0.099 0.901 0.750
V: 0.220 0.415 0.750
V: 0.289 0.078 0.750
V: 0.398 0.602 0.750
V: 0.415 0.220 0.250
V: 0.585 0.780 0.750
V: 0.602 0.398 0.250
V: 0.711 0.922 0.250
V: 0.780 0.585 0.250
V: 0.901 0.099 0.250
V: 0.922 0.711 0.750
O: 0.003 0.197 0.250
O: 0.047 0.557 0.750
O: 0.073 0.927 0.250
O: 0.128 0.275 0.750
O: 0.197 0.003 0.750
O: 0.225 0.368 0.250
O: 0.255 0.745 0.750
O: 0.275 0.128 0.250
O: 0.304 0.498 0.750
O: 0.368 0.225 0.750
O: 0.432 0.568 0.250
O: 0.443 0.953 0.750
O: 0.498 0.304 0.250
O: 0.502 0.696 0.750
O: 0.557 0.047 0.250
O: 0.568 0.432 0.750
O: 0.632 0.775 0.250
O: 0.696 0.502 0.250
O: 0.725 0.872 0.750
O: 0.745 0.255 0.250
O: 0.775 0.632 0.750
O: 0.803 0.997 0.250
O: 0.872 0.725 0.250
O: 0.927 0.073 0.750
O: 0.953 0.443 0.250
O: 0.997 0.803 0.750



Repeat the second record exactly.
V6O13: calculated powder XRD pattern (Cu Kα (weighted mean of Kα1 and Kα2)), based on the PBE+U geometry in the Materials Project.
Lines closer than 0.1° are merged.

Principal peaks in the range 2θ = 10–80°, most intense first:
2θ (°)	I_rel
25.20	1000
26.59	850
14.64	705
29.53	581
32.88	483
48.44	441
44.95	392
33.46	370
45.08	354
17.64	347

Structure:
Lattice parameters (Å, degrees): 11.735 11.735 3.758 90.00 90.00 62.07
Fractional coordinates of all 38 atoms:
V: 0.078 0.289 0.250
V: 0.099 0.901 0.750
V: 0.220 0.415 0.750
V: 0.289 0.078 0.750
V: 0.398 0.602 0.750
V: 0.415 0.220 0.250
V: 0.585 0.780 0.750
V: 0.602 0.398 0.250
V: 0.711 0.922 0.250
V: 0.780 0.585 0.250
V: 0.901 0.099 0.250
V: 0.922 0.711 0.750
O: 0.003 0.197 0.250
O: 0.047 0.557 0.750
O: 0.073 0.927 0.250
O: 0.128 0.275 0.750
O: 0.197 0.003 0.750
O: 0.225 0.368 0.250
O: 0.255 0.745 0.750
O: 0.275 0.128 0.250
O: 0.304 0.498 0.750
O: 0.368 0.225 0.750
O: 0.432 0.568 0.250
O: 0.443 0.953 0.750
O: 0.498 0.304 0.250
O: 0.502 0.696 0.750
O: 0.557 0.047 0.250
O: 0.568 0.432 0.750
O: 0.632 0.775 0.250
O: 0.696 0.502 0.250
O: 0.725 0.872 0.750
O: 0.745 0.255 0.250
O: 0.775 0.632 0.750
O: 0.803 0.997 0.250
O: 0.872 0.725 0.250
O: 0.927 0.073 0.750
O: 0.953 0.443 0.250
O: 0.997 0.803 0.750



- What is the formula in the first record?
  VO2



- Which formula does entry 2 have?
  V6O13